Last month I went to the border town of Reynosa, Mexico, with 7 other women from my church. We spent several days with migrant families who were staying at a church shelter while they were navigating the difficult process of securing the documentation required to be considered for asylum status in the United States. What struck me as we entered the shelter gates for the first time was the diversity of the people who were staying there. A large number of the men, women and children were from various countries in Africa. Several were from Venezuela. Many were from Central America and Mexico. I thought, how will God use us this week?
Our fearless leader, Ashlie, immediately began solidifying relationships with the shelter leadership to make sure we knew how and when to serve. We wanted to help, not unintentionally hurt, while serving among so many people in crisis. Four women on our team, who were professional educators, immediately starting gathering children for the Bible club they had prepared. Nancy, a physician’s assistant, went directly to the clinic to assist the Doctors without Borders personnel already serving there.
I tagged along with Diane. A former Peace Corps worker in Honduras, Diane would lead a women’s Bible study for Spanish speakers. I would lead one for the women who spoke English. But God had something else for us to do, too.
Before the trip, Diane had prayed and talked with the pastor who was our contact in Reynosa. How could she help? “I’m just learning how to sew,” she said. “What if I brought some sewing machines along?” With the pastor’s assurance that sewing machines were a great idea, Diane bought 4 basic sewing machines. Women from our church donated fabric and essential notions like thread, scissors, tape measures and seam rippers. I had no idea that Diane was making these preparations until just a few days before our trip. When she told me her plans, I was thrilled. I love to sew. I’ve been on dozens of mission trips, but I’ve never been on one in which I’d have the opportunity to serve through one of my hobbies.
Here the piece breaks off for data records:
<<<
Record 1
Material: Tb2SmRuO8
Method: DFT, PBE-GGA
State: relaxed

```
Tb2SmRuO8
1.0
5.076 0.000 0.000
0.000 6.844 0.000
0.000 0.000 5.087
Tb Sm Ru O
2 1 1 8
Direct
0.000 0.250 0.000 Tb
0.000 0.750 0.000 Tb
0.500 0.000 0.500 Sm
0.500 0.500 0.500 Ru
0.189 0.000 0.187 O
0.237 0.500 0.235 O
0.315 0.294 0.683 O
0.315 0.706 0.683 O
0.685 0.294 0.317 O
0.685 0.706 0.317 O
0.763 0.500 0.765 O
0.811 0.000 0.813 O
```

Results
**Uncorrected formation energy**: -2.36 eV per atom
**Magnetization**: 1.04 μB per formula unit
**SG**: P2/m, No. 10
**D(E_F)**: 3.31 states/eV per cell
**Crystal system**: monoclinic

---

Record 2
Material: Sm2TlRuO5
Method: DFT, PBE-GGA
State: relaxed

```
Sm2TlRuO5
1.0
6.827 0.000 0.000
0.000 6.827 0.000
0.000 0.000 5.844
Sm Tl Ru O
4 2 2 10
Direct
0.178 0.322 0.000 Sm
0.322 0.822 0.000 Sm
0.678 0.178 0.000 Sm
0.822 0.678 0.000 Sm
0.000 0.000 0.500 Tl
0.500 0.500 0.500 Tl
0.000 0.500 0.500 Ru
0.500 0.000 0.500 Ru
0.000 0.000 0.000 O
0.132 0.632 0.244 O
0.132 0.632 0.756 O
0.368 0.132 0.244 O
0.368 0.132 0.756 O
0.500 0.500 0.000 O
0.632 0.868 0.244 O
0.632 0.868 0.756 O
0.868 0.368 0.244 O
0.868 0.368 0.756 O
```

Results
**Uncorrected formation energy**: -2.11 eV per atom
**Magnetization**: 3.00 μB per formula unit
**SG**: P4/mbm, No. 127
**D(E_F)**: 0.82 states/eV per cell
**Crystal system**: tetragonal

---

Record 3
Material: SmTlRu2O8
Method: DFT, PBE-GGA
State: relaxed

```
SmTlRu2O8
1.0
6.051 0.000 0.000
-3.026 5.241 0.000
0.000 0.000 7.850
Sm Tl Ru O
1 1 2 8
Direct
0.000 0.000 0.000 Sm
0.000 0.000 0.500 Tl
0.333 0.667 0.264 Ru
0.667 0.333 0.736 Ru
0.169 0.342 0.186 O
0.174 0.831 0.186 O
0.333 0.667 0.487 O
0.342 0.174 0.814 O
0.658 0.826 0.186 O
0.667 0.333 0.513 O
0.826 0.169 0.814 O
0.831 0.658 0.814 O
```

Results
**Uncorrected formation energy**: -1.30 eV per atom
**Magnetization**: 4.03 μB per formula unit
**SG**: P-3, No. 147
**D(E_F)**: 1.68 states/eV per cell
**Crystal system**: trigonal

---

Record 4
Material: SmTlRuO6
Method: DFT, PBE-GGA
State: relaxed

```
SmTlRuO6
1.0
5.608 0.000 0.000
-2.804 4.857 0.000
0.000 0.000 4.660
Sm Tl Ru O
1 1 1 6
Direct
0.000 0.000 0.000 Sm
0.667 0.333 0.500 Tl
0.333 0.667 0.000 Ru
0.049 0.379 0.237 O
0.049 0.669 0.763 O
0.331 0.379 0.763 O
0.331 0.951 0.237 O
0.621 0.669 0.237 O
0.621 0.951 0.763 O
```

Results
**Uncorrected formation energy**: -1.35 eV per atom
**Magnetization**: 1.45 μB per formula unit
**SG**: P312, No. 149
**D(E_F)**: 4.68 states/eV per cell
**Crystal system**: trigonal

---

Record 5
Material: Sm2Tl2RuO6
Method: DFT, PBE-GGA
State: relaxed

```
Sm2Tl2RuO6
1.0
2.962 -5.121 0.000
2.962 5.121 0.000
-1.681 0.000 6.542
Sm Tl Ru O
2 2 1 6
Direct
0.165 0.835 0.000 Sm
0.835 0.165 0.000 Sm
0.340 0.660 0.500 Tl
0.660 0.340 0.500 Tl
0.500 0.500 0.000 Ru
0.155 0.457 0.837 O
0.256 0.256 0.176 O
0.457 0.155 0.837 O
0.543 0.845 0.163 O
0.744 0.744 0.824 O
0.845 0.543 0.163 O
```

Results
**Uncorrected formation energy**: -1.83 eV per atom
>>>
We set up the machines and a cutting table in a small room that the shelter pastor reserved for mission teams. Then we walked outside in the plaza of the compound, holding a shoulder bag as an example of what the women could sew. By the end of the first day, women were lined up 3 deep to get their turn at the machines. We had our English Bible study gathered around the cutting table, pushing aside the fabric scraps and pin cushions. The sewing machines were a big hit.
On the afternoon of the second day, a young woman, Janis, who had already made a bag, visited our sewing room again. “Do you want to make another bag?” I asked. No. She wanted to make a shower curtain. What? I didn’t understand. Diane translated for me. Yes, she wants to make a shower curtain. I was still confused, so Janis took me to the women’s bath house there at the shelter. It was made of concrete bricks. There were 3 shower stalls and 3 toilet stalls, all with no doors or curtains. The women had improvised with a few blankets thrown over PVC pipe that they could move with them from shower stall to toilet stall for privacy. Janis might only be at this shelter for a few days–who knew?–but she wanted to give a gift of privacy to the women and girls who would use this bath house every day now and in the future.
We took measurements, we searched for the most appropriate fabric. We cut and pieced. We sewed. On the third and last day that our team would be at the shelter, Shelley (from Cameroon) joined us to help. By 6:00 that evening, we had 3 completed shower curtains. These, in addition to the blankets the women were already using, would provide privacy for all six stalls in the bath house.
When I went into the bath house right before we left on that third day, I saw a tiny pair of feet in sneakers peeking out from under a new curtain covering a toilet stall. The toilet flushed, and a girl who looked to be about 6 years old came out and politely washed her hands in the sink. I smiled.
“Now to him who is able to do immeasurably more than all we ask or imagine, according to his power that is at work within us, to him be glory in the church and in Christ Jesus throughout all generations, for ever and ever! Amen” (Ephesians 3:20).
Beautiful story, Jana. Thank you so much for sharing this amazing experience.
Can’t wait to share this story with our Freeman Heights Acteens.
Thanks Mary Lou! Our crew of 8 had lunch together this past Sunday to pray & talk about what God would have us do next. Always an adventure!